• File:
********
# 1
VASP calculation (PBE-GGA) on an optimized crystal structure of CaDyCdGa.

a b c (Å): 3.620 3.620 7.722
angles (deg): 90.00 90.00 90.00
Space group P4mm (No. 99)
Symmetry-distinct sites (fractional):
Ca1 0.000 0.000 0.000 [1 per cell]
Dy1 0.000 0.000 0.470 [1 per cell]
Cd1 0.500 0.500 0.730 [1 per cell]
Ga1 0.500 0.500 0.246 [1 per cell]

Computed properties:
The value obtained for the calculated formation energy is -1.74 eV/f.u. Its crystal system is tetragonal. For the energy above the lowest structure with this stoichiometry, the calculation gives 0.0 meV/atom.

# 2
VASP calculation (PBE-GGA) on an optimized crystal structure of Ba3SmY3Te8.

a b c (Å): 9.0263 9.0263 23.9355
angles (deg): 90.00 90.00 120.00
Space group R-3m (No. 166, hexagonal axes)
Symmetry-distinct sites (fractional):
Ba1 0.0000 0.5000 0.0000 [9 per cell]
Sm1 0.0000 0.0000 0.5000 [3 per cell]
Y1 0.0000 0.5000 0.5000 [9 per cell]
Te1 0.0000 0.0000 0.2388 [6 per cell]
Te2 0.0086 0.5043 0.7604 [18 per cell]

Computed properties:
Its crystal system is trigonal. The calculation puts the formation energy from raw total energies at -1551 meV per atom.

# 3
VASP calculation (PBE-GGA) on an optimized crystal structure of Cs2K2P3.

a b c (Å): 13.492 5.249 7.271
angles (deg): 90.00 118.29 90.00
Space group C2/m (No. 12)
Symmetry-distinct sites (fractional):
Cs1 0.137 0.000 0.305 [4 per cell]
K1 0.155 0.000 0.799 [4 per cell]
P1 0.000 0.500 0.500 [2 per cell]
P2 0.057 0.500 0.930 [4 per cell]

Computed properties:
The value obtained for the calculated formation energy is -1.26 eV/f.u. Its crystal system is monoclinic.

| no. | ρ (g/cm³) |
| --- | --- |
| 1 | 6.31 |
| 2 | 5.46 |
| 3 | 3.20 |
********

• What to do:
Echo the lines earlier on from the one with "Sm1 0.0000" to the one with "0.0000 0.2388" without altering anything.

• Completed:
Sm1 0.0000 0.0000 0.5000 [3 per cell]
Y1 0.0000 0.5000 0.5000 [9 per cell]
Te1 0.0000 0.0000 0.2388 [6 per cell]